After nine months of pregnancy, you finally have your beautiful newborn in your arms. As a new parent, you will be face with learning a number of things for keeping your baby comfortable and safe. One of the primary challenges for the majority of new parents is sleep – for both baby and parents. To ensure your baby adjusts well and you get rest, which you will need, you can do several things to help establish good sleeping habits.
You need to remember that a sleep schedule takes time so patience and flexibility are keys to success. Although you will have lots of advice from families and friends, remember that not all babies respond to the same techniques. Therefore, you might try something offered but if you find it not working, rather than keep fighting the system, move on to something else. Just stay open to possible solutions for helping your baby sleep, learning over time what does and does not work.
**These crystal structures were left in the entry by mistake:**
<<<
Entry 1:
DFT (GGA-PBE) results for a geometry-optimized Rb2TbMg2S4 structure.

a b c (Å): 8.0378 8.0378 7.9634
angles (deg): 107.03 107.03 29.51
Closest atoms and distances in Å follow each position.
Sites, in units of the cell vectors:
Rb (0.1247, 0.1247, 0.0353)  7 S 3.46-3.66, 1 Rb 3.74
Rb (0.8753, 0.8753, 0.9647)  7 S 3.46-3.66, 1 Rb 3.74
Tb (0.0000, 0.0000, 0.5000)  6 S 2.83-2.99
Mg (0.3287, 0.3287, 0.5224)  4 S 2.41-2.55
Mg (0.6713, 0.6713, 0.4776)  4 S 2.41-2.55
S (0.2008, 0.2008, 0.6612)  3 Mg 2.48-2.55
S (0.4784, 0.4784, 0.7293)  1 Mg 2.41
S (0.5216, 0.5216, 0.2707)  1 Mg 2.41
S (0.7992, 0.7992, 0.3388)  3 Mg 2.48-2.55

- V: 26.8 Å³ per atom
- Uncorrected formation energy: -1.3707 eV per atom
- E: -4.289 eV per atom
- Space-group type: C2/m
- Crystal system: monoclinic
- Total magnetic moment: 0.70 Bohr magnetons per cell


Entry 2:
DFT (GGA-PBE) results for a geometry-optimized Rb2MgTeS4 structure.

a b c (Å): 13.8259 12.1792 7.9693
angles (deg): 83.88 61.15 34.97
Closest atoms and distances in Å follow each position.
Sites, in units of the cell vectors:
Rb (0.0548, 0.0548, 0.6952)  8 S 3.59-3.97
Rb (0.3048, 0.3048, 0.9452)  8 S 3.59-3.97
Rb (0.6952, 0.6952, 0.0548)  8 S 3.59-3.97
Rb (0.9452, 0.9452, 0.3048)  8 S 3.59-3.97
Mg (0.1250, 0.1250, 0.1250)  4 S 2.45
Mg (0.8750, 0.8750, 0.8750)  4 S 2.45
Te (0.3750, 0.3750, 0.3750)  4 S 2.56
Te (0.6250, 0.6250, 0.6250)  4 S 2.56
S (0.0422, 0.3118, 0.4112)  1 Mg 2.45, 1 Te 2.56
S (0.2652, 0.5888, 0.6882)  1 Mg 2.45, 1 Te 2.56
S (0.3118, 0.0422, 0.7348)  1 Mg 2.45, 1 Te 2.56
S (0.4112, 0.7348, 0.0422)  1 Mg 2.45, 1 Te 2.56
S (0.5888, 0.2652, 0.9578)  1 Mg 2.45, 1 Te 2.56
S (0.6882, 0.9578, 0.2652)  1 Mg 2.45, 1 Te 2.56
S (0.7348, 0.4112, 0.3118)  1 Mg 2.45, 1 Te 2.56
S (0.9578, 0.6882, 0.5888)  1 Mg 2.45, 1 Te 2.56

- V: 34.4 Å³ per atom
- Uncorrected formation energy: -0.7312 eV per atom
- E: -3.629 eV per atom
- Space-group type: Fddd
- Crystal system: orthorhombic
- Total magnetic moment: 0.00 Bohr magnetons per cell


Entry 3:
DFT (GGA-PBE) results for a geometry-optimized RbMgTe2S structure.

a b c (Å): 5.8835 5.8835 4.7459
angles (deg): 90.00 90.00 90.00
Closest atoms and distances in Å follow each position.
Sites, in units of the cell vectors:
Rb (0.0000, 0.0000, 0.0000)  8 Te 3.78, 4 Mg 4.16
Mg (0.5000, 0.5000, 0.0000)  2 S 2.37
Te (0.0000, 0.5000, 0.5000)  2 S 2.94
Te (0.5000, 0.0000, 0.5000)  2 S 2.94
S (0.5000, 0.5000, 0.5000)  2 Mg 2.37

- V: 32.9 Å³ per atom
- Uncorrected formation energy: -0.3293 eV per atom
- E: -2.924 eV per atom
- Space-group type: P4/mmm
- Crystal system: tetragonal
- Total magnetic moment: 0.00 Bohr magnetons per cell


Entry 4:
DFT (GGA-PBE) results for a geometry-optimized Rb3Tm2MgS6 structure.

a b c (Å): 6.8996 6.8996 8.0194
angles (deg): 98.25 98.25 120.01
Closest atoms and distances in Å follow each position.
Sites, in units of the cell vectors:
Rb (0.0000, 0.0000, 0.0000)  6 S 3.32-3.33
Rb (0.3337, 0.6663, 0.0000)  6 S 3.31-3.33
>>>
As you spend more and more time with your baby, you will begin to learn his or her behaviors. As a new parent, you want to establish right patterns but again, you need to be flexible. Therefore, if you can get your baby to take all of his/her naps in the crib – great but if you find your baby prefers to sleep in the carrier or playpen during the day, then so be it. Many times, you will find that in the first few months of life, the safest and most comfortable place is near mom or dad, not necessarily the crib.
********
KLiVO4: relaxed, PBE+U.

CIF file:
```
data_KLiVO4
_space_group_name_H-M_alt 'I -4'
_space_group_IT_number 82
_cell_length_a 5.631
_cell_length_b 5.631
_cell_length_c 8.516
_cell_angle_alpha 90.00
_cell_angle_beta 90.00
_cell_angle_gamma 90.00
loop_
_space_group_symop_operation_xyz
'x,y,z'
'y,-x,-z'
'-x,-y,z'
'-y,x,-z'
'x+1/2,y+1/2,z+1/2'
'y+1/2,-x+1/2,-z+1/2'
'-x+1/2,-y+1/2,z+1/2'
'-y+1/2,x+1/2,-z+1/2'
loop_
_atom_site_label
_atom_site_fract_x
_atom_site_fract_y
_atom_site_fract_z
K1 0.000 0.000 0.000
Li1 0.000 0.000 0.500
V1 0.000 0.500 0.750
O1 0.104 0.273 0.630
```

K2LiVO4: relaxed, PBE+U.

CIF file:
```
data_K2LiVO4
_space_group_name_H-M_alt 'F d d d'
_space_group_IT_number 70
_cell_length_a 4.868
_cell_length_b 11.582
_cell_length_c 19.724
_cell_angle_alpha 90.00
_cell_angle_beta 90.00
_cell_angle_gamma 90.00
loop_
_space_group_symop_operation_xyz
'x,y,z'
'-x,-y,-z'
'-x+1/4,-y+1/4,z'
'x+1/4,y+1/4,-z'
'x,-y+1/4,-z+1/4'
'-x,y+1/4,z+1/4'
'-x+1/4,y,-z+1/4'
'x+1/4,-y,z+1/4'
'x,y+1/2,z+1/2'
'-x,-y+1/2,-z+1/2'
'-x+1/4,-y+3/4,z+1/2'
'x+1/4,y+3/4,-z+1/2'
'x,-y+3/4,-z+3/4'
'-x,y+3/4,z+3/4'
'-x+1/4,y+1/2,-z+3/4'
'x+1/4,-y+1/2,z+3/4'
'x+1/2,y,z+1/2'
'-x+1/2,-y,-z+1/2'
'-x+3/4,-y+1/4,z+1/2'
'x+3/4,y+1/4,-z+1/2'
'x+1/2,-y+1/4,-z+3/4'
'-x+1/2,y+1/4,z+3/4'
'-x+3/4,y,-z+3/4'
'x+3/4,-y,z+3/4'
'x+1/2,y+1/2,z'
'-x+1/2,-y+1/2,-z'
'-x+3/4,-y+3/4,z'
'x+3/4,y+3/4,-z'
'x+1/2,-y+3/4,-z+1/4'
'-x+1/2,y+3/4,z+1/4'
'-x+3/4,y+1/2,-z+1/4'
'x+3/4,-y+1/2,z+1/4'
loop_
_atom_site_label
_atom_site_fract_x
_atom_site_fract_y
_atom_site_fract_z
K1 0.125 0.125 0.298
Li1 0.125 0.125 0.125
V1 0.125 0.125 0.625
O1 0.098 0.289 0.827
```

KLiWO4: relaxed, PBE+U.

CIF file:
```
data_KLiWO4
_space_group_name_H-M_alt 'P 1 21/c 1'
_space_group_IT_number 14
_cell_length_a 9.616
_cell_length_b 9.196
_cell_length_c 19.330
_cell_angle_alpha 90.00
_cell_angle_beta 119.70
_cell_angle_gamma 90.00
loop_
_space_group_symop_operation_xyz
'x,y,z'
'-x,-y,-z'
'-x,y+1/2,-z+1/2'
'x,-y+1/2,z+1/2'
loop_
_atom_site_label
_atom_site_fract_x
_atom_site_fract_y
_atom_site_fract_z
K1 0.006 0.014 0.249
K2 0.323 0.536 0.587
K3 0.342 0.541 0.074
Li1 0.024 0.663 0.089
Li2 0.322 0.665 0.421
Li3 0.341 0.161 0.260
W1 0.025 0.219 0.594
W2 0.305 0.216 0.917
W3 0.339 0.729 0.764
O1 0.083 0.750 0.013
O2 0.110 0.037 0.613
O3 0.115 0.729 0.869
O4 0.126 0.747 0.198
O5 0.185 0.149 0.145
O6 0.211 0.155 0.453
O7 0.233 0.245 0.812
O8 0.255 0.033 0.932
O9 0.372 0.542 0.799
O10 0.411 0.649 0.349
O11 0.444 0.739 0.209
O12 0.478 0.740 0.528
```

K3LiW2O8: relaxed, PBE+U.

CIF file:
```
data_K3LiW2O8
_space_group_name_H-M_alt 'P -3 m 1'
********
While it would be nice to force your baby to sleep when and where you want, this expectation is simply not realistic. Even so, you can make nap or bedtime attractive, something your baby looks forward to doing. We suggest you also try various things to put the baby to sleep. In this case, you might see if rocking works, singing, nursing, patting the baby’s back over your shoulder, using sound machines, and so on. You may need to try several things before you discover that one magical thing that works best but keep in mind, it may not work 100% of the time.
Here the piece breaks off for data records.
+++
Entry 1:
{"formula": "NdPaCO", "functional": "PBE-GGA", "state": "optimized geometry", "vol_a3_per_cell": 149.19, "space_group": "P4/nmm (129)", "e_form_raw_mev_per_atom": -1251, "lattice_angstrom": [[4.112, 0.000, 0.000], [0.000, 4.112, 0.000], [0.000, 0.000, 8.824]], "species": ["Nd", "Nd", "Pa", "Pa", "C", "C", "O", "O"], "fractional_positions": [[0.250, 0.250, 0.128], [0.750, 0.750, 0.872], [0.250, 0.750, 0.500], [0.750, 0.250, 0.500], [0.250, 0.250, 0.649], [0.750, 0.750, 0.351], [0.250, 0.750, 0.000], [0.750, 0.250, 0.000]]}

=====

Entry 2:
{"formula": "Nd6Pb2CO", "functional": "PBE-GGA", "state": "optimized geometry", "vol_a3_per_cell": 260.20, "space_group": "Fm-3m (225)", "e_form_raw_mev_per_atom": -924, "lattice_angstrom": [[0.000, 5.067, 5.067], [5.067, 0.000, 5.067], [5.067, 5.067, 0.000]], "species": ["Nd", "Nd", "Nd", "Nd", "Nd", "Nd", "Pb", "Pb", "C", "O"], "fractional_positions": [[0.248, 0.248, 0.752], [0.248, 0.752, 0.248], [0.248, 0.752, 0.752], [0.752, 0.248, 0.248], [0.752, 0.248, 0.752], [0.752, 0.752, 0.248], [0.250, 0.250, 0.250], [0.750, 0.750, 0.750], [0.000, 0.000, 0.000], [0.500, 0.500, 0.500]]}

=====

Entry 3:
{"formula": "Rb2NdC2O6", "functional": "PBE-GGA", "state": "optimized geometry", "vol_a3_per_cell": 210.86, "space_group": "P-3m1 (164)", "e_form_raw_mev_per_atom": -1845, "lattice_angstrom": [[5.801, 0.000, 0.000], [-2.900, 5.024, 0.000], [0.000, 0.000, 7.235]], "species": ["Rb", "Rb", "Nd", "C", "C", "O", "O", "O", "O", "O", "O"], "fractional_positions": [[0.333, 0.667, 0.316], [0.667, 0.333, 0.684], [0.000, 0.000, 0.000], [0.333, 0.667, 0.840], [0.667, 0.333, 0.160], [0.204, 0.407, 0.833], [0.204, 0.796, 0.833], [0.407, 0.204, 0.167], [0.593, 0.796, 0.833], [0.796, 0.204, 0.167], [0.796, 0.593, 0.167]]}

=====

--- i ---
Compound: Mn2TeAs
Source: the Alexandria database
Functional: PBE
Structure: relaxed

a = 4.2806 Å, b = 4.2806 Å, c = 8.2231 Å
α = 74.91°, β = 74.91°, γ = 90.00°
Positions (direct):
As 0.5000 0.5000 0.0000
As 0.2500 0.7500 0.5000
Mn 0.3750 0.4367 0.7500
Mn 0.1867 0.6250 0.2500
Mn 0.8750 0.8133 0.7500
Mn 0.5633 0.1250 0.2500
Te 0.7500 0.2500 0.5000
Te 0.0000 0.0000 0.0000

Computed properties:
For the density of states at the Fermi level, the calculation gives 17.24 states/eV/cell. The symmetry is I-42d.

=====

--- ii ---
Compound: Mn2TeAs
Source: the Alexandria database
Functional: PBE
Structure: relaxed

a = 5.5698 Å, b = 5.5698 Å, c = 5.5698 Å
α = 138.50°, β = 138.50°, γ = 60.14°
Each line ends with the local moment (μB).
Positions (direct):
Mn 0.0000 0.0000 0.0000  3.62
Mn 0.2500 0.7500 0.5000  3.74
Te 0.5000 0.5000 0.0000  -0.03
As 0.7500 0.2500 0.5000  -0.08

Computed properties:
For the density of states at the Fermi level, the calculation gives 3.65 states/eV/cell. The symmetry is I-4m2.

=====

--- iii ---
Compound: Mn2TeAs
Source: the Alexandria database
Functional: PBE
Structure: relaxed

a = 9.5672 Å, b = 9.5672 Å, c = 9.5672 Å
α = 18.64°, β = 18.64°, γ = 18.64°
+++
Helping your baby get to sleep using methods of security and parent soothing has a long list of advantages. For instance, your baby is learning the right way to go to sleep, making the experience enjoyable. Additionally, the right techniques will build a stronger bond between child and parent, building trust and happy memories. Just remember that as a new parent raisig a baby is a learning process for you and your child. Then, the responses of the baby will vary not just from day to day, but also child to child. Therefore, what might have worked exceptionally well for your first child may not be the answer for your second child, which is the reason patience and flexibility are so crucial.